Perhaps your people think you walk on water, but who has the authority and permission to point out the leaks in your boat? I’ve been around leaders for quite a number of years. I’ve worked with all kinds of leaders in 18 different churches since becoming a Christian. I’ve seen all kinds of leadership styles and philosophies at work.

In today’s Post I share an observation I’ve  both experienced as well as read/heard about.

When a leader has experienced great success, people begin to think they can do no wrong—until they do! The followers come to believe that everything this leader seems to touch turns to gold. They are brilliant, gifted, anointed. Pride over what has been accomplished moves into the center of the leader’s thoughts and all the accolades and admiration gives them an inflated view of their own importance.

“But when he (Uzziah) had become powerful, he also became proud, which led to his downfall.” ~ 2 Chronicles 26:16 NLT

In my thinking I expand “powerful” to—popular, successful, admired, appreciated.

Instead of this “success” resulting in gratitude and thanks to the Lord as well as dependance and humility, it can lead to pride resulting in all kinds of additional sin—which will, over time, will bring a leader down. We have all seen this over the last several years with prominent and successful leaders in the USA.

There comes a time when many of the leader’s followers think their leader walks on water,  due to all the good things that have happened; but hopefully there a few people, maybe only one, who has God-given authority, permission and courage to point out to said leader there are leaks in the boat; that the leader is not as great as he/she thinks they are. That there are some things that need immediate attention before the boat begins to sink.

There comes a time when other leaders around this leader don’t want to mess with “Success,” don’t  want to rock the boat, point out leaks, challenge some decisions or thinking! Maybe they will be fired for speaking up, or at least be marginalized and have responsibilities taken from them. Is it worth the risk they may be thinking? We allow competence to become more important than character. We reward competence and overlook serious character flaws—the kinds of flaws that will result in a leaky boat and soon a sinking boat.

Years ago I was part of a Billy Graham crusade in San Diego. Grady Wilson, one of Graham’s associates, was speaking at a church in the area a day or so before the crusade was to begin. In a Q&A session someone asked Grady how Billy had remained humble in view of all his Incredible success. To this day his response is emblazoned in my brain and heart,

Grady said, “When the team first formed, we made a deal with Billy that if God would keep him anointed, we would keep him humble.”

The team around Billy had been given authority, permission and possessed  the courage to bring potential leaks of the team boat to Billy’s attention, with the understanding that Billy would listen and take to heart what he would hear from his team.

+++
Computed, not measured: a relaxed TbDyGa2Ag2 crystal at the PBE-GGA level of DFT. Values from VASP.

Calculated total energy in eV/atom: -4.00

```
&SYSTEM
  ibrav = 0, nat = 6, ntyp = 4
/
ATOMIC_SPECIES
Tb 158.93 Tb.upf
Dy 162.50 Dy.upf
Ga 69.72 Ga.upf
Ag 107.87 Ag.upf
CELL_PARAMETERS angstrom
4.603 0.000 0.000
-2.301 3.986 0.000
0.000 0.000 7.017
ATOMIC_POSITIONS angstrom
Tb 0.000 0.000 0.000
Dy 0.000 0.000 3.509
Ga 0.000 2.657 1.994
Ga 0.000 2.657 5.023
Ag 2.301 1.329 1.680
Ag 2.301 1.329 5.337
```


Record 1
Computed, not measured: a geometry-optimized Nd2DyMg3Tl2Zn structure at the PBE-GGA level of DFT.

## Properties
Total magnetization (μB/f.u.): 0.01
Calculated total energy (eV per atom): -3.09

The structure in POSCAR format:
```
Nd2DyMg3Tl2Zn
1.0
-1.8601 3.8186 -1.9162
-3.7662 -4.3114 -4.9358
-3.2455 1.7325 6.6030
Dy Mg Nd Tl Zn
1 3 2 2 1
direct
0.0000 0.4082 0.4082
0.5000 0.2356 0.0004
0.5000 0.0004 0.2356
0.5000 0.7666 0.7666
0.0000 0.9981 0.5879
0.0000 0.5879 0.9981
0.5000 0.6611 0.3346
0.5000 0.3346 0.6611
0.0000 0.0074 0.0074
```



Record 2
Computed, not measured: a geometry-optimized Dy2MgNi2 structure at the PBE-GGA level of DFT.

## Properties
Total magnetization (μB/f.u.): 0.00
Calculated total energy (eV per atom): -4.77

The structure in POSCAR format:
```
Dy2MgNi2
1.0
7.3127 0.0000 0.0000
0.0000 7.3127 0.0000
0.0000 0.0000 3.7444
Dy Mg Ni
4 2 4
direct
0.3272 0.1728 0.5000
0.8272 0.3272 0.5000
0.1728 0.6728 0.5000
0.6728 0.8272 0.5000
0.0000 0.0000 0.0000
0.5000 0.5000 0.0000
0.6209 0.1209 0.0000
0.1209 0.3791 0.0000
0.8791 0.6209 0.0000
0.3791 0.8791 0.0000
```


Record 1
## NbPO2F (GGA-PBE)

Data for a relaxed NbPO2F crystal.

Cell: 4.020 4.020 4.296 Å, 90.00 90.00 90.00°
Space group P4/mmm (No. 123)
Unique sites:
1 Nb 0.000 0.000 0.000
2 P 0.500 0.500 0.500
3 O 0.000 0.500 0.000
4 F 0.000 0.000 0.500

For the raw formation energy, the calculation gives -1.168 eV per atom.

---

Record 2
## PrAl2Tc (GGA-PBE)

Data for a relaxed PrAl2Tc crystal.

Cell: 4.3040 4.3040 16.0874 Å, 90.00 90.00 120.00°
Space group R-3m (No. 166, hexagonal axes)
Unique sites:
1 Pr 0.0000 0.0000 0.0000
2 Al 0.0000 0.0000 0.2056
3 Tc 0.0000 0.0000 0.5000

For the energy relative to the elements, the calculation gives -247 meV/atom.

---

Record 3
## KCr2Cu (GGA-PBE)

Data for a relaxed KCr2Cu crystal.

Cell: 3.1549 3.1549 29.8879 Å, 90.00 90.00 120.00°
Space group R-3m (No. 166, hexagonal axes)
Unique sites:
1 K 0.0000 0.0000 0.0000
2 Cr 0.0000 0.0000 0.2301
3 Cu 0.0000 0.0000 0.5000

For the energy relative to the elements, the calculation gives 1094 meV/atom.

---

Record 4
## Li4Pm3Si4 (GGA-PBE)

Data for a relaxed Li4Pm3Si4 crystal.

Cell: 4.383 6.714 14.554 Å, 90.00 90.00 90.00°
Space group Immm (No. 71)
Unique sites:
1 Li 0.000 0.191 0.171
2 Pm 0.000 0.000 0.369
3 Pm 0.000 0.500 0.500
4 Si 0.000 0.322 0.000
5 Si 0.000 0.500 0.287

For the raw formation energy, the calculation gives -0.550 eV per atom.

---

Record 5
## Cs3LaAg2I8 (GGA-PBE)
+++
The calculated crystals stop here =

David had both Jonathan and Nathan speak into his life—Jonathan to encourage him and Nathan to confront him (point out the leaks).

I’m so thankful that, over the years, God has given me people (starting with my wife of 55 years, Susan) to make me aware of “leaks” in my leadership. I’d be a complete fool not to listen.

“Let the godly strike me! It will be a kindness! If they correct me, it is soothing medicine. Don’t let me refuse it.” ~ Psalm 141:5 NLT

How are you doing on this fellow leader? Who has been given the right to speak truth to power when many think you walk on water? Who are the faithful “Leak-Detectors” you listen to?